_Assignment_
Your job: find the line further below that holds "0.493 0.250", then quote that line and all lines after it there.

_Data_
____________
Calculated powder diffraction line list
Compound: RbHoW2O8
Radiation: Cu Kα X-rays
Structure: a crystal structure in the Materials Project, relaxed with GGA+U

Crystal structure
Unit cell a=10.892 b=10.617 c=7.496 alpha=90.00 beta=130.06 gamma=90.00
Space group C2/c (No. 15)
Symmetry-distinct sites (fractional):
Rb 0.000 0.200 0.250 [4 per cell]
Ho 0.000 0.224 0.750 [4 per cell]
W 0.195 0.495 0.719 [8 per cell]
O 0.019 0.390 0.965 [8 per cell]
O 0.130 0.085 0.693 [8 per cell]
O 0.188 0.432 0.441 [8 per cell]
O 0.217 0.157 0.122 [8 per cell]

Peak list (10 most intense, 2θ = 10–80°, by angle)
h k l	two_theta	I/Imax
2 2 0	27.2	97
1 3 0	27.4	27
3 1 -2	28.0	25
2 2 -2	29.2	100
0 0 2	31.2	41
4 0 -2	33.1	19
3 1 0	33.3	26
0 4 0	33.8	21
0 4 2	46.6	24
2 2 -4	55.4	21

Calculated powder diffraction line list
Compound: Li3MnB4O9
Radiation: Cu Kα X-rays
Structure: a crystal structure in the Materials Project, relaxed with GGA+U

Crystal structure
Unit cell a=5.818 b=8.746 c=6.698 alpha=90.00 beta=102.49 gamma=90.00
Space group P2_1/m (No. 11)
Symmetry-distinct sites (fractional):
Li 0.079 0.250 0.497 [2 per cell]
Li 0.261 0.565 0.839 [4 per cell]
Mn 0.255 0.250 0.118 [2 per cell]
B 0.220 0.547 0.281 [4 per cell]
B 0.367 0.750 0.537 [2 per cell]
B 0.493 0.250 0.773 [2 per cell]
O 0.086 0.081 0.219 [4 per cell]
O 0.213 0.614 0.466 [4 per cell]
O 0.278 0.250 0.849 [2 per cell]
O 0.361 0.608 0.155 [4 per cell]
O 0.419 0.750 0.760 [2 per cell]
O 0.425 0.250 0.550 [2 per cell]

Peak list (10 most intense, 2θ = 10–80°, by angle)
h k l	two_theta	I/Imax
1 0 -1	18.3	64
0 2 0	20.3	78
1 1 -1	21.0	33
1 0 1	22.9	49
1 1 1	25.0	100
1 2 0	25.7	51
2 0 0	31.5	31
1 3 0	34.6	94
1 2 -2	35.2	33
0 0 3	41.4	47

Calculated powder diffraction line list
Compound: LiMn3B3O9
Radiation: Cu Kα X-rays
Structure: a crystal structure in the Materials Project, relaxed with GGA+U

Crystal structure
Unit cell a=5.759 b=8.128 c=9.195 alpha=110.00 beta=105.19 gamma=100.65
Space group P-1 (No. 2)
Symmetry-distinct sites (fractional):
Li 0.166 0.347 0.232 [2 per cell]
Mn 0.106 0.346 0.554 [2 per cell]
Mn 0.255 0.003 0.129 [2 per cell]
Mn 0.439 0.677 0.179 [2 per cell]
B 0.099 0.353 0.897 [2 per cell]
B 0.201 0.963 0.773 [2 per cell]
B 0.434 0.672 0.531 [2 per cell]
O 0.081 0.909 0.870 [2 per cell]
O 0.110 0.887 0.606 [2 per cell]
O 0.146 0.767 0.185 [2 per cell]
O 0.182 0.551 0.445 [2 per cell]
O 0.204 0.428 0.065 [2 per cell]
O 0.241 0.390 0.803 [2 per cell]
O 0.430 0.105 0.856 [2 per cell]
O 0.433 0.304 0.572 [2 per cell]
O 0.460 0.264 0.304 [2 per cell]

Peak list (10 most intense, 2θ = 10–80°, by angle)
h k l	two_theta	I/Imax
0 1 1	19.5	100
0 1 -2	20.3	33
0 2 -1	22.3	81
1 0 -2	22.5	87
0 0 3	33.2	45
2 -2 0	35.4	77
0 3 0	37.0	32
1 1 2	39.5	32
0 2 -4	41.2	29
0 1 4	51.7	38

Calculated powder diffraction line list
Compound: NaLaNi4O12
Radiation: Cu Kα X-rays
Structure: a crystal structure in the Materials Project, relaxed with GGA+U

Crystal structure
Unit cell a=7.728 b=7.567 c=7.552 alpha=90.00 beta=90.00 gamma=90.00
Space group Amm2 (No. 38)
Symmetry-distinct sites (fractional):
Na 0.000 0.000 0.000 [2 per cell]
La 0.500 0.000 0.523 [2 per cell]
Ni 0.243 0.246 0.262 [8 per cell]
O 0.000 0.223 0.781 [4 per cell]
O 0.212 0.000 0.224 [4 per cell]
O 0.258 0.217 0.513 [8 per cell]
O 0.276 0.000 0.767 [4 per cell]
O 0.500 0.223 0.266 [4 per cell]

Peak list (10 most intense, 2θ = 10–80°, by angle)
h k l	two_theta	I/Imax
1 0 0	11.5	25
0 1 1	16.6	30
1 1 1	20.2	77
0 0 2	23.5	28
2 2 0	33.2	100
0 2 2	33.5	51
1 3 1	39.5	26
4 0 0	47.0	25
2 4 2	59.7	41
4 0 4	69.6	24

Calculated powder diffraction line list
Compound: KTaV2O8
Radiation: Cu Kα X-rays
Structure: a crystal structure in the Materials Project, relaxed with GGA+U

Crystal structure
Unit cell a=15.190 b=5.669 c=8.720 alpha=90.00 beta=90.00 gamma=90.00
Space group Pnma (No. 62)
Symmetry-distinct sites (fractional):
K 0.123 0.250 0.052 [4 per cell]
Ta 0.118 0.750 0.687 [4 per cell]
V 0.028 0.750 0.292 [4 per cell]
____________

_Worked solution_
B 0.493 0.250 0.773 [2 per cell]
O 0.086 0.081 0.219 [4 per cell]
O 0.213 0.614 0.466 [4 per cell]
O 0.278 0.250 0.849 [2 per cell]
O 0.361 0.608 0.155 [4 per cell]
O 0.419 0.750 0.760 [2 per cell]
O 0.425 0.250 0.550 [2 per cell]

Peak list (10 most intense, 2θ = 10–80°, by angle)
h k l	two_theta	I/Imax
1 0 -1	18.3	64
0 2 0	20.3	78
1 1 -1	21.0	33
1 0 1	22.9	49
1 1 1	25.0	100
1 2 0	25.7	51
2 0 0	31.5	31
1 3 0	34.6	94
1 2 -2	35.2	33
0 0 3	41.4	47

Calculated powder diffraction line list
Compound: LiMn3B3O9
Radiation: Cu Kα X-rays
Structure: a crystal structure in the Materials Project, relaxed with GGA+U

Crystal structure
Unit cell a=5.759 b=8.128 c=9.195 alpha=110.00 beta=105.19 gamma=100.65
Space group P-1 (No. 2)
Symmetry-distinct sites (fractional):
Li 0.166 0.347 0.232 [2 per cell]
Mn 0.106 0.346 0.554 [2 per cell]
Mn 0.255 0.003 0.129 [2 per cell]
Mn 0.439 0.677 0.179 [2 per cell]
B 0.099 0.353 0.897 [2 per cell]
B 0.201 0.963 0.773 [2 per cell]
B 0.434 0.672 0.531 [2 per cell]
O 0.081 0.909 0.870 [2 per cell]
O 0.110 0.887 0.606 [2 per cell]
O 0.146 0.767 0.185 [2 per cell]
O 0.182 0.551 0.445 [2 per cell]
O 0.204 0.428 0.065 [2 per cell]
O 0.241 0.390 0.803 [2 per cell]
O 0.430 0.105 0.856 [2 per cell]
O 0.433 0.304 0.572 [2 per cell]
O 0.460 0.264 0.304 [2 per cell]

Peak list (10 most intense, 2θ = 10–80°, by angle)
h k l	two_theta	I/Imax
0 1 1	19.5	100
0 1 -2	20.3	33
0 2 -1	22.3	81
1 0 -2	22.5	87
0 0 3	33.2	45
2 -2 0	35.4	77
0 3 0	37.0	32
1 1 2	39.5	32
0 2 -4	41.2	29
0 1 4	51.7	38

Calculated powder diffraction line list
Compound: NaLaNi4O12
Radiation: Cu Kα X-rays
Structure: a crystal structure in the Materials Project, relaxed with GGA+U

Crystal structure
Unit cell a=7.728 b=7.567 c=7.552 alpha=90.00 beta=90.00 gamma=90.00
Space group Amm2 (No. 38)
Symmetry-distinct sites (fractional):
Na 0.000 0.000 0.000 [2 per cell]
La 0.500 0.000 0.523 [2 per cell]
Ni 0.243 0.246 0.262 [8 per cell]
O 0.000 0.223 0.781 [4 per cell]
O 0.212 0.000 0.224 [4 per cell]
O 0.258 0.217 0.513 [8 per cell]
O 0.276 0.000 0.767 [4 per cell]
O 0.500 0.223 0.266 [4 per cell]

Peak list (10 most intense, 2θ = 10–80°, by angle)
h k l	two_theta	I/Imax
1 0 0	11.5	25
0 1 1	16.6	30
1 1 1	20.2	77
0 0 2	23.5	28
2 2 0	33.2	100
0 2 2	33.5	51
1 3 1	39.5	26
4 0 0	47.0	25
2 4 2	59.7	41
4 0 4	69.6	24

Calculated powder diffraction line list
Compound: KTaV2O8
Radiation: Cu Kα X-rays
Structure: a crystal structure in the Materials Project, relaxed with GGA+U

Crystal structure
Unit cell a=15.190 b=5.669 c=8.720 alpha=90.00 beta=90.00 gamma=90.00
Space group Pnma (No. 62)
Symmetry-distinct sites (fractional):
K 0.123 0.250 0.052 [4 per cell]
Ta 0.118 0.750 0.687 [4 per cell]
V 0.028 0.750 0.292 [4 per cell]